Based on the information in the chart, why might Congress have been divided about declaring war on Britain?

(1 point)

Southern representatives were less concerned about British interference in American shipping.
Southern representatives were less concerned about British interference in American shipping.

Members of Congress did not believe the American military could compete with the British military.
Members of Congress did not believe the American military could compete with the British military.

The War Hawks had more supporters in the House of Representatives than in the Senate.
The War Hawks had more supporters in the House of Representatives than in the Senate.

[Here the text breaks off for crystal structures]
# 1
Starting from a structure optimized by DFT (PBE), the XRD peak list of Er3BiB2Rh9 was computed for a wavelength of 1.5418 Å.

Top 10 peaks for 10° ≤ 2θ ≤ 90°, in order of falling intensity:
- 40.83 deg, 2.210 Å, intensity 100, hkl 2 0 2
- 36.90 deg, 2.436 Å, intensity 74, hkl 0 2 1
- 46.78 deg, 1.942 Å, intensity 32, hkl 2 0 3
- 39.64 deg, 2.274 Å, intensity 32, hkl 0 0 4
- 63.75 deg, 1.460 Å, intensity 26, hkl 2 2 0
- 77.74 deg, 1.228 Å, intensity 26, hkl 2 2 4
- 26.36 deg, 3.381 Å, intensity 21, hkl 0 1 2
- 72.74 deg, 1.300 Å, intensity 19, hkl 2 0 6
- 62.95 deg, 1.477 Å, intensity 15, hkl 0 2 5
- 17.54 deg, 5.057 Å, intensity 15, hkl 1 0 0

Atomic structure:
Lattice parameters (Å, degrees): 5.8395 5.8395 9.0945 90.00 90.00 120.00
Space group P-3m1 (No. 164)
Asymmetric unit:
Er 0.0000 0.0000 0.0000
Er 0.3333 0.6667 0.7263
Bi 0.0000 0.0000 0.5000
B 0.3333 0.6667 0.1436
Rh 0.0000 0.5000 0.0000
Rh 0.1607 0.3214 0.2592



# 2
Starting from a structure optimized by DFT (PBE), the XRD peak list of BiB2F8 was computed for a wavelength of 1.5418 Å.

Top 10 peaks for 10° ≤ 2θ ≤ 90°, in order of falling intensity:
- 19.97 deg, 4.447 Å, intensity 100, hkl 1 1 0
- 14.05 deg, 6.304 Å, intensity 93, hkl 0 0 1
- 26.37 deg, 3.380 Å, intensity 60, hkl 1 1 1
- 28.31 deg, 3.152 Å, intensity 45, hkl 2 0 1
- 37.64 deg, 2.390 Å, intensity 40, hkl 1 1 2
- 40.74 deg, 2.215 Å, intensity 38, hkl 2 2 -1
- 34.03 deg, 2.635 Å, intensity 35, hkl 3 1 -1
- 20.53 deg, 4.326 Å, intensity 29, hkl 2 0 -1
- 31.97 deg, 2.799 Å, intensity 29, hkl 1 1 -2
- 41.88 deg, 2.157 Å, intensity 25, hkl 3 1 1

Atomic structure:
Lattice parameters (Å, degrees): 9.292 5.157 6.669 90.00 109.07 90.00
Space group C2/m (No. 12)
Asymmetric unit:
Bi 0.000 0.000 0.000
B 0.203 0.000 0.716
F 0.136 0.220 0.788
F 0.137 0.500 0.173
F 0.170 0.000 0.501



# 3
Starting from a structure optimized by DFT (PBE), the XRD peak list of BiBOF4 was computed for a wavelength of 1.5418 Å.

Top 10 peaks for 10° ≤ 2θ ≤ 90°, in order of falling intensity:
- 27.71 deg, 3.220 Å, intensity 100, hkl 2 1 1
- 22.63 deg, 3.929 Å, intensity 35, hkl 1 1 1
- 34.66 deg, 2.588 Å, intensity 30, hkl 3 1 1
- 47.59 deg, 1.911 Å, intensity 24, hkl 4 0 2
- 42.08 deg, 2.147 Å, intensity 20, hkl 0 2 2
- 28.88 deg, 3.091 Å, intensity 18, hkl 0 0 2
- 29.93 deg, 2.986 Å, intensity 18, hkl 0 2 0
- 50.47 deg, 1.808 Å, intensity 17, hkl 2 1 3
- 43.14 deg, 2.097 Å, intensity 15, hkl 1 2 2
- 51.78 deg, 1.766 Å, intensity 15, hkl 2 3 1

Atomic structure:
Lattice parameters (Å, degrees): 9.729 5.972 6.182 90.00 90.00 90.00
Space group Aem2 (No. 39)
Asymmetric unit:
Bi 0.119 0.250 0.000
B 0.330 0.250 0.506
O 0.000 0.000 0.186
F 0.201 0.250 0.368
F 0.310 0.057 0.634
F 0.446 0.250 0.389


Calculated XRD peak list of AsHIrOsAu for copper Kα, from a crystal structure in Alexandria, relaxed with GGA-PBE.

Structure:
```
AsHIrOsAu
1.0
10.806 0.000 0.000
0.000 2.802 0.000
-0.128 0.000 4.835
As H Ir Os Au
2 2 2 2 2
Direct
0.000 0.000 0.000
[The text goes on]

Some representatives were not convinced that the rumors about the Native American attacks were true

Some representatives were not convinced that the rumors about the Native American attacks were true.

From the information in the chart, one reason Congress might have been divided about declaring war on Britain is that some representatives were not convinced that the rumors about Native American attacks were true. This suggests that they may have doubted the need for war and were hesitant to vote in favor of it.

To determine why Congress might have been divided about declaring war on Britain, we can examine the information provided in the chart. Here are the steps to analyze the chart:

1. Look for relevant information: Read through the chart and identify any information that might be related to Congress's division on declaring war on Britain.

[Between two parts of the page: materials data]
-- begin --
Eu5V3S6O7: theoretical XRD peak list (Cu Kα), based on a crystal structure in the Materials Project, relaxed with PBE+U.
No peak broadening, texture or thermal motion is included.

Principal peaks in the range 10° ≤ 2θ ≤ 80°, sorted by position:
2θ/deg	d_spacing	Rel. int.
25.88	3.443	56
26.39	3.377	80
26.65	3.345	52
29.49	3.029	73
32.99	2.715	40
34.60	2.592	100
35.85	2.505	63
36.04	2.492	59
47.14	1.928	53
48.76	1.867	46

a = 3.7350 Å, b = 18.0073 Å, c = 10.2131 Å
α = 90.00°, β = 90.00°, γ = 90.00°
Fractional positions:
Eu 0.2500 0.0867 0.0879
Eu 0.2500 0.2500 0.7229
Eu 0.2500 0.4133 0.0879
Eu 0.2500 0.6376 0.5301
Eu 0.2500 0.8624 0.5301
Eu 0.7500 0.1376 0.4699
Eu 0.7500 0.3624 0.4699
Eu 0.7500 0.5867 0.9121
Eu 0.7500 0.7500 0.2771
Eu 0.7500 0.9133 0.9121
V 0.2500 0.0562 0.7468
V 0.2500 0.4438 0.7468
V 0.2500 0.7500 0.8153
V 0.7500 0.2500 0.1847
V 0.7500 0.5562 0.2532
V 0.7500 0.9438 0.2532
S 0.2500 0.0148 0.3518
S 0.2500 0.2500 0.0328
S 0.2500 0.2500 0.3573
S 0.2500 0.4852 0.3518
S 0.2500 0.6321 0.1470
S 0.2500 0.8679 0.1470
S 0.7500 0.1321 0.8530
S 0.7500 0.3679 0.8530
S 0.7500 0.5148 0.6482
S 0.7500 0.7500 0.6427
S 0.7500 0.7500 0.9672
S 0.7500 0.9852 0.6482
O 0.2500 0.9997 0.8940
O 0.2500 0.1256 0.6125
O 0.2500 0.3744 0.6125
O 0.2500 0.5003 0.8940
O 0.2500 0.6489 0.7935
O 0.2500 0.7500 0.4072
O 0.2500 0.8511 0.7935
O 0.7500 0.0003 0.1060
O 0.7500 0.1489 0.2065
O 0.7500 0.2500 0.5928
O 0.7500 0.3511 0.2065
O 0.7500 0.4997 0.1060
O 0.7500 0.6256 0.3875
O 0.7500 0.8744 0.3875

---

SrLaTiMnO6: theoretical XRD peak list (Cu Kα), based on a crystal structure in the Materials Project, relaxed with PBE+U.
No peak broadening, texture or thermal motion is included.

Principal peaks in the range 10° ≤ 2θ ≤ 80°, sorted by position:
2θ/deg	d_spacing	Rel. int.
31.45	2.845	51
31.71	2.822	100
31.95	2.801	50
32.45	2.759	45
32.67	2.741	47
39.75	2.268	14
44.16	2.051	36
46.71	1.945	61
57.57	1.601	20
66.24	1.411	18

a = 5.4825 Å, b = 5.5190 Å, c = 16.4098 Å
α = 89.37°, β = 89.38°, γ = 89.96°
Fractional positions:
Sr 0.0000 0.0000 0.0000
Sr 0.0040 0.0001 0.5005
Sr 0.5046 0.5025 0.7507
Sr 0.5087 0.4980 0.2509
La 0.0069 0.9934 0.7490
La 0.0135 0.9925 0.2487
La 0.4979 0.4985 0.9986
La 0.5051 0.4886 0.4986
Ti 0.0045 0.4953 0.1250
Ti 0.0054 0.4978 0.6246
Ti 0.5046 0.0013 0.8744
Ti 0.5067 0.9929 0.3749
Mn 0.0019 0.4989 0.8754
Mn 0.0031 0.4955 0.3756
Mn 0.5020 0.9970 0.1251
Mn 0.5030 0.9971 0.6253
O 0.0088 0.5444 0.0088
O 0.2178 0.2083 0.1149
O 0.2208 0.7735 0.8587
O 0.2265 0.7652 0.3581
O 0.2360 0.2273 0.6097
O 0.2695 0.7310 0.6414
O 0.2726 0.2693 0.3943
O 0.2765 0.2775 0.8928
O 0.2837 0.7141 0.1388
O 0.4960 0.0459 0.2587
O 0.4962 0.9272 0.9930
O 0.4972 0.0502 0.7586
O 0.4982 0.9177 0.4929
O 0.7079 0.2842 0.1084
O 0.7229 0.2707 0.6079
O 0.7328 0.7265 0.8619
O 0.7384 0.7275 0.3606
O 0.7664 0.2313 0.3914
O 0.7706 0.2305 0.8900
O 0.7763 0.7753 0.6448
O 0.7882 0.7864 0.1419
O 0.9934 0.4235 0.2430
O 0.9979 0.4211 0.7427
O 0.9981 0.5502 0.5089

---
-- stop --

2. Identify possible reasons: Based on the information, consider the different factors that might have influenced Congress's division. In this case, we have four options to evaluate:

- Southern representatives were less concerned about British interference in American shipping.
- Members of Congress did not believe the American military could compete with the British military.
- The War Hawks had more supporters in the House of Representatives than in the Senate.
- Some representatives were not convinced that the rumors about the Native American attacks were true.

3. Analyze the options: Consider each option and its potential impact on Congress's division. Evaluate the reasons based on the chart data and determine which reasons might have contributed to the division.

4. Provide the most supported answer: After analyzing the options, determine the reason that is best supported by the information in the chart. This would be the answer to the question, "Why might Congress have been divided about declaring war on Britain?"

Unrelated to this page: records of crystals:
- - -
# Li8TlCd2
Theoretical powder X-ray diffraction pattern, Cu Ka. Input: DFT lattice parameters and positions (GGA-PBE).
Peak positions follow from Bragg's law for the DFT cell and can differ from measured ones.

Peak list (10 most intense, 2θ from 10° to 80°, low angle first)
2θ/deg, d_spacing, I (rel.)
17.42, 5.090, 53
20.25, 4.386, 80
23.47, 3.791, 51
25.09, 3.550, 100
26.68, 3.341, 52
31.96, 2.800, 28
37.11, 2.423, 52
37.42, 2.403, 52
38.31, 2.350, 27
40.79, 2.212, 26

Atomic structure:
```
Li8TlCd2
1.0
7.671 -2.226 0.000
7.671 2.226 0.000
-0.920 0.000 5.986
Li Tl Cd
8 1 2
direct
0.044 0.044 0.236 Li
0.140 0.140 0.678 Li
0.320 0.320 0.592 Li
- - -
So much for the records of crystals:

By following these steps, you can arrive at the most logical and accurate answer based on the information provided.